Tuesday, March 24, 2015

Tai Chi is hard but not as hard as you think

- - -
[1]
DyYFe4 | meta-GGA SCAN | PBEsol geometry

- ΔE_f (eV/f.u.) = -0.076
- space-group type = No. 216
- total moment (μB/f.u.) = 7.72

Cell lengths 5.0197, 5.0197, 5.0197 Å; angles 60.00, 60.00, 60.00 degrees
Closest atoms and distances in Å follow each position.
Sites, in units of the cell vectors:
Dy 0.0000 0.0000 0.0000  12 Fe 2.94, 4 Y 3.07
Y 0.7500 0.7500 0.7500  12 Fe 2.94, 4 Dy 3.07
Fe 0.3749 0.3749 0.3749  6 Fe 2.51
Fe 0.3749 0.3749 0.8754  6 Fe 2.51
Fe 0.3749 0.8754 0.3749  6 Fe 2.51
Fe 0.8754 0.3749 0.3749  6 Fe 2.51

[2]
DyGa3 | meta-GGA SCAN | PBEsol geometry

- ΔE_f (eV/f.u.) = -2.539
- space-group type = No. 194
- total moment (μB/f.u.) = 0.00

Cell lengths 6.1653, 6.1653, 4.4770 Å; angles 90.00, 90.00, 120.00 degrees
Closest atoms and distances in Å follow each position.
Sites, in units of the cell vectors:
Dy 0.3333 0.6667 0.2500  12 Ga 2.99-3.09
Dy 0.6667 0.3333 0.7500  12 Ga 2.99-3.09
Ga 0.1480 0.2960 0.7500  6 Ga 2.74, 2 Dy 2.99
Ga 0.1480 0.8520 0.7500  6 Ga 2.74, 2 Dy 2.99
Ga 0.2960 0.1480 0.2500  6 Ga 2.74, 2 Dy 2.99
Ga 0.7040 0.8520 0.7500  6 Ga 2.74, 2 Dy 2.99
Ga 0.8520 0.1480 0.2500  6 Ga 2.74, 2 Dy 2.99
Ga 0.8520 0.7040 0.2500  6 Ga 2.74, 2 Dy 2.99

----------

Record 1
Here is Ac7Ag2Pt2 after structural relaxation from Alexandria. Energies are from PBE.

Calculated values
Energy above the most stable polymorph in this dataset in meV/atom: 0
Calculated volume in Å³/atom: 34.94
Formation energy in kJ per mole of atoms: -49.4
SG: Imm2, No. 44

abc: 10.3522 10.3522 10.3522
angles: 156.44 66.17 119.17
Last column: nearest neighbours and their distance in Å.
Fractional coordinates of all 11 atoms:
Ac: 0.0000 0.0000 0.0000  2 Pt 3.09
Ac: 0.1129 0.4232 0.6897  3 Ag 3.19-3.26
Ac: 0.1762 0.7906 0.3857  2 Pt 3.05, 2 Ag 3.42
Ac: 0.4049 0.7906 0.6143  2 Pt 3.05, 2 Ag 3.42
Ac: 0.5295 0.6352 0.8943  3 Pt 3.21-3.22, 2 Ag 3.43
Ac: 0.7336 0.4232 0.3103  3 Ag 3.19-3.26
Ac: 0.7410 0.6352 0.1057  3 Pt 3.21-3.22, 2 Ag 3.43
Ag: 0.3745 0.1363 0.2382  7 Ac 3.19-3.43
Ag: 0.8982 0.1363 0.7618  7 Ac 3.19-3.43
Pt: 0.3825 0.3825 0.0000  6 Ac 3.05-3.22
Pt: 0.7854 0.2854 0.5000  6 Ac 3.09-3.21

Record 2
Here is YTm2ScTl2 after structural relaxation from Alexandria. Energies are from PBE.

Calculated values
Calculated volume in Å³/atom: 27.19
Formation energy in kJ per mole of atoms: -25.5
SG: Pmc2_1, No. 26

abc: 4.9124 9.6735 6.8659
angles: 90.00 90.00 90.00
Last column: nearest neighbours and their distance in Å.
Fractional coordinates of all 12 atoms:
Y: 0.0000 0.0496 0.0000  5 Tl 3.17-3.34, 2 Sc 3.47
Y: 0.0000 0.9504 0.5000  5 Tl 3.17-3.34, 2 Sc 3.47
Tm: 0.0000 0.3099 0.3946  4 Tl 3.12-3.17, 2 Tm 3.45, 2 Sc 3.45
Tm: 0.0000 0.6901 0.8946  4 Tl 3.12-3.17, 2 Tm 3.45, 2 Sc 3.45
Tm: 0.5000 0.4510 0.1031  5 Tl 3.15-3.44, 2 Tm 3.45, 1 Sc 3.48
Tm: 0.5000 0.5490 0.6031  5 Tl 3.15-3.44, 2 Tm 3.45, 1 Sc 3.48
Sc: 0.5000 0.1980 0.7113  4 Tl 3.09-3.11, 2 Tm 3.45
Sc: 0.5000 0.8020 0.2113  4 Tl 3.09-3.11, 2 Tm 3.45
- - -

How is it that you stand like that, for that is “double weighted”? A student once made this accusation as I was teaching him the round form. I was standing with the feet looking parallel as you see Master Hwa doing here. I was in the throes of demonstrating the “cloud hands” sequence using the square form as an example.Video of cloud hands instruction and stepping . Actually, one of my feet was slightly back of the other via a step back, he thought it looked parallel and thus double weighted.  Unfortunately the student never completed his study, preferring to defer to what his former teacher taught which was a 24 Form, large frame Wu Style. He was enamored of that to the point of stating that I “...was not teaching Tai Chi...” and promptly left.
Well, it is next to impossible to be double weighted in Classical Tai Chi, unless one pushes with the back leg instead of pulling with the front. As we know,"... the pushing , which is synonymous both with everday walking and large frame Tai Chi, engages both feet stuck to the ground until the move is completed . In the case of pulling the back foot has no such responsibility, it is free to be lifted and moved…even in the case of parallel feet..."
I cite this example of what is or is not double weighted as an example of how difficult it is for many people to learn Classical Tai Chi, needless to say it helps if one wants to do the work. If one does not want to do the work, it is impossible. I shall attempt to explain why and you may be surprised.
On his web page, Master Hwa makes reference to his teacher Grandmaster Young Wabu “…he tested his martial art skills with Wu and found that he was completely dominated by Wu At that point, Young gave up all he had learned before and became Wu’s student. Young remembers the difficulty in trying to FORGET the deeply ingrained external martial arts he had learned and switch to the very different internal …” You see, this applies to those like that student I mention, that learn other Tai Chi, even large frame Wu Style for that is also “external”…they do not want to admit this.
Almost in keeping with “…it cannot be changed…” as quoted by Young Wabu as he attributed it to his teacher Wu Chien Chuan. There is also the concept that learning a style of Tai Chi , learning the postures of Tai Chi, learning another martial art, having learned to do everday walking, etc. is relatively EASY compared to the act of trying to change these things…changing these things is HARD. Unfortunately, my experience with MANY students bears this out for they personify what one might call “pigheaded resistance” in mind and body. Pigheaded in relying on prior notions of both thinking and tendencies.
Here is WHY: This is understandable, why shouldn’t it be , for it is natural for body and mind want to cling to information provided by the senses. eg. Once having learned to everyday walk, of course the body and mind resist change. I had an elderly man in my class who resisted learning the "basic walk" so much, he would slap his thighs say "this is stupid,I know how to walk" and continually resume everyday walking Another student would put both hands out to the sides like a tightrope walker, preferring to do everday walking instead of holding onto the wall, doing basic walking etc.
Therefore, It is absolutely necessary that a student’s beginning lessons of the principles be correct without compromise. A student asked once why it had to be “so difficult”. In light of what we know about our sensory “pigheaded” resistance to change, is it so much that the Tai Chi is difficult …or is it is more a case of your body and mind making things difficult ? If you can come to admit the latter, you have taken a good “pulling” step toward learning.

Tuesday, March 10, 2015

Raise angle of foot and raise the level of discussion

Foot angle

Notice anything about the angle of the foot as it is raised and the foot leaves the ground?

 In keeping with hopes for a "discussion" , I notice Master Hwa takes the time to do more than "poke" or "like" what is said on the Facebook page...he "comments". So, this is a test and a request with no end date to see who is actually reading what is written. Don't make this like the Yahoo group where there may be .01% reading and commenting. If you read this and ANY future posts, leave at least a small sentence about what you read. In turn, I will make every attempt to make my posts succinct. Thanks

Mirror Neuron/Mirrored Form

- - -
[1]
Entry from Alexandria via LeMat-Bulk: a relaxed structure of Pr12Tc3N5 (GGA-PBE).

For the uncorrected formation energy, the calculation gives -0.4682 eV/atom. The value obtained for the final energy is -6.97 eV/atom. The value obtained for the volume is 2006.15 Å³ per cell.

Cell lengths 13.7614, 13.7614, 13.7614 Å; angles 109.47, 109.47, 109.47 degrees
Sites, in units of the cell vectors:
Pr  0.0255  0.2049  0.1244
Pr  0.0255  0.3206  0.9011
Pr  0.0805  0.7049  0.6794
Pr  0.0805  0.8756  0.4011
Pr  0.0989  0.6244  0.4195
Pr  0.0989  0.9745  0.6794
Pr  0.1244  0.0255  0.2049
Pr  0.1244  0.5989  0.9195
Pr  0.1794  0.2049  0.5805
Pr  0.1794  0.4745  0.5989
Pr  0.2049  0.1244  0.0255
Pr  0.2049  0.5805  0.1794
Pr  0.2951  0.3206  0.9195
Pr  0.2951  0.4745  0.3756
Pr  0.3206  0.9011  0.0255
Pr  0.3206  0.9195  0.2951
Pr  0.3756  0.2951  0.4745
Pr  0.3756  0.5805  0.9011
Pr  0.4011  0.0805  0.8756
Pr  0.4011  0.8206  0.5255
Pr  0.4195  0.0989  0.6244
Pr  0.4195  0.8206  0.7951
Pr  0.4745  0.3756  0.2951
Pr  0.4745  0.5989  0.1794
Pr  0.5255  0.4011  0.8206
Pr  0.5255  0.6244  0.7049
Pr  0.5805  0.1794  0.2049
Pr  0.5805  0.9011  0.3756
Pr  0.5989  0.1794  0.4745
Pr  0.5989  0.9195  0.1244
Pr  0.6244  0.4195  0.0989
Pr  0.6244  0.7049  0.5255
Pr  0.6794  0.0805  0.7049
Pr  0.6794  0.0989  0.9745
Pr  0.7049  0.5255  0.6244
Pr  0.7049  0.6794  0.0805
Pr  0.7951  0.4195  0.8206
Pr  0.7951  0.8756  0.9745
Pr  0.8206  0.5255  0.4011
Pr  0.8206  0.7951  0.4195
Pr  0.8756  0.4011  0.0805
Pr  0.8756  0.9745  0.7951
Pr  0.9011  0.0255  0.3206
Pr  0.9011  0.3756  0.5805
Pr  0.9195  0.1244  0.5989
Pr  0.9195  0.2951  0.3206
Pr  0.9745  0.6794  0.0989
Pr  0.9745  0.7951  0.8756
Tc  0.1250  0.2500  0.3750
Tc  0.1250  0.3750  0.7500
Tc  0.2500  0.3750  0.1250
Tc  0.2500  0.8750  0.6250
Tc  0.3750  0.1250  0.2500
Tc  0.3750  0.7500  0.1250
Tc  0.6250  0.2500  0.8750
Tc  0.6250  0.8750  0.7500
Tc  0.7500  0.1250  0.3750
Tc  0.7500  0.6250  0.8750
Tc  0.8750  0.6250  0.2500
Tc  0.8750  0.7500  0.6250
N  0.0000  0.0000  0.0000
N  0.0000  0.0000  0.5000
N  0.0000  0.5000  0.0000
N  0.0000  0.5000  0.5000
N  0.1250  0.7500  0.8750
N  0.1250  0.8750  0.2500
N  0.2500  0.1250  0.8750
N  0.2500  0.6250  0.3750
N  0.3750  0.2500  0.6250
N  0.3750  0.6250  0.7500
N  0.5000  0.0000  0.0000
N  0.5000  0.0000  0.5000
N  0.5000  0.5000  0.0000
N  0.5000  0.5000  0.5000
N  0.6250  0.3750  0.2500
N  0.6250  0.7500  0.3750
N  0.7500  0.3750  0.6250
N  0.7500  0.8750  0.1250
N  0.8750  0.1250  0.7500
N  0.8750  0.2500  0.1250

[2]
Entry from Alexandria via LeMat-Bulk: a relaxed structure of Pr4Tc3N10 (GGA-PBE).

For the uncorrected formation energy, the calculation gives -0.5644 eV/atom. The value obtained for the final energy is -8.42 eV/atom. The value obtained for the volume is 221.00 Å³ per cell.

Cell lengths 14.4724, 14.4724, 14.4724 Å; angles 164.33, 164.33, 22.23 degrees
Sites, in units of the cell vectors:
Pr  0.0676  0.0676  0.0000
Pr  0.2026  0.2026  0.0000
- - -
### End of the crystal structures

The   Brush Knee video shows left and right  "Raise Hands" is only one example of a "right" side form, yet it, along wit...